Monday, September 12, 2011

No One Is Indispensable Indefinitely

This has never been a genre I'd linger at the bookshelf. It's pure bias, I do confess. The man was persistent in getting me to read it. He insisted that it was good. I brushed him off with a "Your type of good. Not mine." Still he said it was so brilliant that I should read it. Seriously. Okay... Seth Godin's 'Linchpin : Are You Indispensable'.

Sure, Seth Godin is inspiring entrepreneur. He makes things happen and through his books, he tries to teach you to make your products remarkable and spread powerful ideas. But I'm not interested in being an entrepreneur. I've never wanted to create anything. I'm quite happy to participate, or be a consumer. Clearly, I'm not meant to appreciate any sort of marketing or even try to market anything. I'd fail so miserably.

Since this book touches on choice and linchpins as "essential building blocks of a great organization......who can walk into chaos and create order" (meaning...the mavericks), I'd have a browse. The book also talks about thinking of choices, of buying into a climate of fear within the rigid system or to chart one's own path and create value as one would. Sure. I want to know who on earth is indispensable to an organization in this day and age. With a great deal of skepticism, I flipped to the first page.

"You want your employees to be indispensable. // Really? After all, if they're the linchpins, you have to treat them better. Pay them fairly. You won't be able to quickly fire them for any reason, knowing how easy they will be to replace with all those folks lining up at the door. The linchpin represents a threat to the orderly execution of your agenda, because the linchpin is necessary. The linchpin has power! // No one is irreplaceable, of course, because over time, someone can be trained to fill the shoes of your linchpin employee. But right now, knowing you have to depend on someone is a scary feeling. Not only does he have power, but he might leave you hanging. This isn't what you were taught in school."

The writing is easy, as though one is carrying on a conversation with the author. But hey, this is his skill. It welcomes you into the book as though you'd soft step through the doors to a one-day conference on this topic. The structure presents the idea flow in a rather structured manner across the various ideas thrown up in the content. There're astute observations and good examples proffered. It's an textbook published in layman language with contemporary bells and whistles. A version that's easier to digest. It'd appeal to readers with a short-attention span and whose approach to management styles could be termed as the 'new-wave', and who require to have the information presented to them in such a bite-size format.

I accorded this book all of 30 minutes, and endured through certain chapters. The concepts aren't going to get drilled into this brain. I get it, but I don't geddit. I'm the wrong type of reader who refuses to understand the smashing revelations that the book may impart.


Anonymous said...

er.. i must.. get this book!

bookjunkie said...

I'm the same..I much prefer reading a novel. Although I have read non-fiction about happiness, especially when I was feeling particularly depressed.

What comes next are crystal structures, not part of the entry >
-- begin --
This entry pairs a crystal structure of SrCuSiNi with its simulated powder diffraction line list. Radiation: Cu Ka. Structure: a PBE-relaxed structure.

Most intense lines, 5° ≤ 2θ ≤ 70°, sorted by position:
16.87 deg, rel. 21, hkl 0 0 2
25.24 deg, rel. 39, hkl 1 0 0
26.65 deg, rel. 26, hkl 1 0 1
34.12 deg, rel. 36, hkl 0 0 4
36.13 deg, rel. 100, hkl 1 0 3
42.92 deg, rel. 10, hkl 1 0 4
44.48 deg, rel. 78, hkl 1 1 0
57.23 deg, rel. 46, hkl 1 1 4
58.59 deg, rel. 23, hkl 2 0 3
67.84 deg, rel. 24, hkl 1 0 7

Cell and atoms:
abc: 4.0737 4.0737 10.5097
angles: 90.00 90.00 120.00
Space group P-6m2 (No. 187)
Symmetry-distinct sites (fractional):
Sr 0.0000 0.0000 0.0000
Sr 0.3333 0.6667 0.5000
Cu 0.0000 0.0000 0.2895
Si 0.6667 0.3333 0.2407
Ni 0.3333 0.6667 0.2190


# PuMnNbV
Theoretical PXRD pattern, copper Kα. Input: a DFT-relaxed cell (PBE, Alexandria).
Lines closer than 0.1° are merged.

Atomic structure:
```
data_PuMnNbV
_chemical_formula_sum 'Pu4 Mn4 Nb4 V4'
_cell_length_a 6.397
_cell_length_b 6.397
_cell_length_c 6.397
_cell_angle_alpha 90.00
_cell_angle_beta 90.00
_cell_angle_gamma 90.00
_symmetry_space_group_name_H-M 'F -4 3 m'
_symmetry_Int_Tables_number 216
_symmetry_space_group_name_Hall 'F -4 2 3'
loop_
_atom_site_label
_atom_site_type_symbol
_atom_site_fract_x
_atom_site_fract_y
_atom_site_fract_z
Pu1 Pu 0.000 0.000 0.000
Mn1 Mn 0.250 0.250 0.750
Nb1 Nb 0.000 0.000 0.500
V1 V 0.250 0.250 0.250
```

Top 10 peaks for 2θ from 10° to 90°, in order of rising 2θ:
hkl 1 1 1, 2θ 24.10, intensity 24
hkl 2 0 0, 2θ 27.89, intensity 33
hkl 2 2 0, 2θ 39.86, intensity 100
hkl 3 1 1, 2θ 47.12, intensity 13
hkl 2 2 2, 2θ 49.35, intensity 10
hkl 4 0 0, 2θ 57.64, intensity 17
hkl 3 3 1, 2θ 63.38, intensity 6
hkl 4 2 0, 2θ 65.22, intensity 14
hkl 4 2 2, 2θ 72.37, intensity 34
hkl 4 4 0, 2θ 85.96, intensity 11


No. 1
K3CoO3: computed powder diffractogram (Cu Kα (λ = 1.5418 Å)), based on a crystal structure in OQMD, relaxed with PBE+U.

Top 12 peaks for 10 to 90 degrees two-theta, sorted by position:
| 2theta | I/Imax | h k l |
| --- | --- | --- |
| 20.76 | 44 | 1 1 1 |
| 30.77 | 95 | 2 2 1 |
| 31.22 | 46 | 1 3 1 |
| 31.51 | 35 | 3 1 0 |
| 32.72 | 100 | 0 0 2 |
| 32.84 | 36 | 0 4 0 |
| 35.62 | 22 | 3 1 1 |
| 40.92 | 21 | 4 0 0 |
| 46.06 | 20 | 3 1 2 |
| 47.04 | 22 | 0 4 2 |
| 52.21 | 29 | 3 5 0 |
| 62.98 | 35 | 3 5 2 |

Crystal structure
abc: 8.821 10.908 5.474
angles: 90.00 90.00 90.00
Space group Cmcm (No. 63)
Asymmetric unit:
1 K 0.000 0.105 0.250 [4 per cell]
2 K 0.206 0.385 0.250 [8 per cell]
3 Co 0.000 0.298 0.750 [4 per cell]
4 O 0.000 0.134 0.750 [4 per cell]
5 O 0.180 0.370 0.750 [8 per cell]

No. 2
K4Co7O14: computed powder diffractogram (Cu Kα (λ = 1.5418 Å)), based on a crystal structure in OQMD, relaxed with PBE+U.

Top 12 peaks for 10 to 90 degrees two-theta, sorted by position:
| 2theta | I/Imax | h k l |
| --- | --- | --- |
| 14.49 | 100 | 0 0 2 |
| 29.22 | 28 | 0 0 4 |
| 31.24 | 10 | 2 0 2 |
| 36.68 | 18 | 2 1 0 |
| 39.63 | 41 | 2 1 2 |
-- stop --
So much for the crystal structures >

Pebbles said...

I want to read this book! When I saw the title of this entry, it was like-Orh! This sentence is so familiar!

imp said...

tuti + pebbles: have a read then!

bookjunkie: i'm not too fond of management books in general. although i force myself to read it once in a while just to keep up with current corporate talk.